Please print the whole of the listing further below exactly.

Record 1
VASP calculation (PBE) on GeAsWBr2 after structural relaxation.

Cell: 5.069 5.069 5.301 Å, 90.00 90.00 90.00°
Fractional coordinates of all 5 atoms:
1 Ge 0.000 0.000 0.000
2 As 0.000 0.000 0.500
3 W 0.500 0.500 0.500
4 Br 0.000 0.500 0.000
5 Br 0.500 0.000 0.000

Calculated values
magnetic moment = 3.53 μB/f.u.
raw formation energy = 1310 meV/atom
space-group type = P4/mmm, No. 123
E above lowest polymorph = 600 meV per atom

---

Record 2
VASP calculation (PBE) on GeAsWBr2 after structural relaxation.

Cell: 5.167 5.167 4.945 Å, 90.00 90.00 90.00°
Fractional coordinates of all 5 atoms:
1 Ge 0.000 0.000 0.000
2 As 0.500 0.500 0.000
3 W 0.500 0.500 0.500
4 Br 0.000 0.500 0.500
5 Br 0.500 0.000 0.500

Calculated values
magnetic moment = 2.33 μB/f.u.
raw formation energy = 710 meV/atom
space-group type = P4/mmm, No. 123
E above lowest polymorph = 0 meV per atom

---

Record 3
VASP calculation (PBE) on YGeAs2Br after structural relaxation.

Cell: 4.965 4.965 5.155 Å, 90.00 90.00 90.00°
Fractional coordinates of all 5 atoms:
1 Y 0.000 0.000 0.000
2 Ge 0.500 0.500 0.500
3 As 0.000 0.500 0.500
4 As 0.500 0.000 0.500
5 Br 0.500 0.500 0.000

Calculated values
magnetic moment = 0.00 μB/f.u.
raw formation energy = -73 meV/atom
space-group type = P4/mmm, No. 123
E above lowest polymorph = 0 meV per atom

---

Record 4
VASP calculation (PBE) on YGeAsBr2 after structural relaxation.

Cell: 5.124 5.124 5.283 Å, 90.00 90.00 90.00°
Fractional coordinates of all 5 atoms:
1 Y 0.000 0.000 0.000
2 Ge 0.500 0.500 0.500
3 As 0.500 0.500 0.000
4 Br 0.000 0.500 0.500
5 Br 0.500 0.000 0.500

Calculated values
magnetic moment = 0.00 μB/f.u.
raw formation energy = -189 meV/atom
space-group type = P4/mmm, No. 123
E above lowest polymorph = 135 meV per atom

---

Record 5
VASP calculation (PBE) on YGeAsBr2 after structural relaxation.

Cell: 5.395 5.395 5.800 Å, 90.00 90.00 90.00°
Fractional coordinates of all 5 atoms:
1 Y 0.000 0.000 0.000
2 Ge 0.500 0.500 0.500
3 As 0.000 0.000 0.500
4 Br 0.000 0.500 0.000
5 Br 0.500 0.000 0.000

Calculated values
magnetic moment = 0.05 μB/f.u.
raw formation energy = -324 meV/atom
space-group type = P4/mmm, No. 123
E above lowest polymorph = 0 meV per atom

---

Record 6
VASP calculation (PBE) on YGeAs2Br after structural relaxation.

Cell: 5.503 5.503 5.363 Å, 90.00 90.00 90.00°
Fractional coordinates of all 5 atoms:
1 Y 0.000 0.000 0.000
2 Ge 0.500 0.500 0.500
3 As 0.000 0.500 0.000
4 As 0.500 0.000 0.000
5 Br 0.000 0.000 0.500

Calculated values
magnetic moment = 0.00 μB/f.u.
raw formation energy = 175 meV/atom
space-group type = P4/mmm, No. 123
E above lowest polymorph = 248 meV per atom

---

Record 7
VASP calculation (PBE) on ZnGeAs2Br after structural relaxation.

Cell: 4.810 4.810 5.312 Å, 90.00 90.00 90.00°
Fractional coordinates of all 5 atoms:
1 Zn 0.000 0.000 0.000
2 Ge 0.500 0.500 0.500
3 As 0.000 0.500 0.000
4 As 0.500 0.000 0.000
5 Br 0.000 0.000 0.500

Calculated values
magnetic moment = 0.00 μB/f.u.
raw formation energy = 578 meV/atom
space-group type = P4/mmm, No. 123
E above lowest polymorph = 0 meV per atom

---

Record 8
VASP calculation (PBE) on ZnGeAsBr2 after structural relaxation.

Cell: 5.319 5.319 5.292 Å, 90.00 90.00 90.00°
Fractional coordinates of all 5 atoms:
1 Zn 0.000 0.000 0.000
2 Ge 0.500 0.500 0.500
3 As 0.500 0.500 0.000
4 Br 0.000 0.500 0.500
5 Br 0.500 0.000 0.500

Calculated values
magnetic moment = 1.54 μB/f.u.
raw formation energy = 288 meV/atom
space-group type = P4/mmm, No. 123
E above lowest polymorph = 0 meV per atom

---

Record 9
VASP calculation (PBE) on ZrGeAs2Br after structural relaxation.

Cell: 5.260 5.260 5.193 Å, 90.00 90.00 90.00°
Fractional coordinates of all 5 atoms:
1 Zr 0.000 0.000 0.000
2 Ge 0.500 0.500 0.500
3 As 0.000 0.500 0.000
4 As 0.500 0.000 0.000
5 Br 0.000 0.000 0.500

Calculated values
magnetic moment = 0.00 μB/f.u.
raw formation energy = 152 meV/atom
space-group type = P4/mmm, No. 123
E above lowest polymorph = 0 meV per atom

---

Record 1
VASP calculation (PBE) on GeAsWBr2 after structural relaxation.

Cell: 5.069 5.069 5.301 Å, 90.00 90.00 90.00°
Fractional coordinates of all 5 atoms:
1 Ge 0.000 0.000 0.000
2 As 0.000 0.000 0.500
3 W 0.500 0.500 0.500
4 Br 0.000 0.500 0.000
5 Br 0.500 0.000 0.000

Calculated values
magnetic moment = 3.53 μB/f.u.
raw formation energy = 1310 meV/atom
space-group type = P4/mmm, No. 123
E above lowest polymorph = 600 meV per atom

---

Record 2
VASP calculation (PBE) on GeAsWBr2 after structural relaxation.

Cell: 5.167 5.167 4.945 Å, 90.00 90.00 90.00°
Fractional coordinates of all 5 atoms:
1 Ge 0.000 0.000 0.000
2 As 0.500 0.500 0.000
3 W 0.500 0.500 0.500
4 Br 0.000 0.500 0.500
5 Br 0.500 0.000 0.500

Calculated values
magnetic moment = 2.33 μB/f.u.
raw formation energy = 710 meV/atom
space-group type = P4/mmm, No. 123
E above lowest polymorph = 0 meV per atom

---

Record 3
VASP calculation (PBE) on YGeAs2Br after structural relaxation.

Cell: 4.965 4.965 5.155 Å, 90.00 90.00 90.00°
Fractional coordinates of all 5 atoms:
1 Y 0.000 0.000 0.000
2 Ge 0.500 0.500 0.500
3 As 0.000 0.500 0.500
4 As 0.500 0.000 0.500
5 Br 0.500 0.500 0.000

Calculated values
magnetic moment = 0.00 μB/f.u.
raw formation energy = -73 meV/atom
space-group type = P4/mmm, No. 123
E above lowest polymorph = 0 meV per atom

---

Record 4
VASP calculation (PBE) on YGeAsBr2 after structural relaxation.

Cell: 5.124 5.124 5.283 Å, 90.00 90.00 90.00°
Fractional coordinates of all 5 atoms:
1 Y 0.000 0.000 0.000
2 Ge 0.500 0.500 0.500
3 As 0.500 0.500 0.000
4 Br 0.000 0.500 0.500
5 Br 0.500 0.000 0.500

Calculated values
magnetic moment = 0.00 μB/f.u.
raw formation energy = -189 meV/atom
space-group type = P4/mmm, No. 123
E above lowest polymorph = 135 meV per atom

---

Record 5
VASP calculation (PBE) on YGeAsBr2 after structural relaxation.

Cell: 5.395 5.395 5.800 Å, 90.00 90.00 90.00°
Fractional coordinates of all 5 atoms:
1 Y 0.000 0.000 0.000
2 Ge 0.500 0.500 0.500
3 As 0.000 0.000 0.500
4 Br 0.000 0.500 0.000
5 Br 0.500 0.000 0.000

Calculated values
magnetic moment = 0.05 μB/f.u.
raw formation energy = -324 meV/atom
space-group type = P4/mmm, No. 123
E above lowest polymorph = 0 meV per atom

---

Record 6
VASP calculation (PBE) on YGeAs2Br after structural relaxation.

Cell: 5.503 5.503 5.363 Å, 90.00 90.00 90.00°
Fractional coordinates of all 5 atoms:
1 Y 0.000 0.000 0.000
2 Ge 0.500 0.500 0.500
3 As 0.000 0.500 0.000
4 As 0.500 0.000 0.000
5 Br 0.000 0.000 0.500

Calculated values
magnetic moment = 0.00 μB/f.u.
raw formation energy = 175 meV/atom
space-group type = P4/mmm, No. 123
E above lowest polymorph = 248 meV per atom

---

Record 7
VASP calculation (PBE) on ZnGeAs2Br after structural relaxation.

Cell: 4.810 4.810 5.312 Å, 90.00 90.00 90.00°
Fractional coordinates of all 5 atoms:
1 Zn 0.000 0.000 0.000
2 Ge 0.500 0.500 0.500
3 As 0.000 0.500 0.000
4 As 0.500 0.000 0.000
5 Br 0.000 0.000 0.500

Calculated values
magnetic moment = 0.00 μB/f.u.
raw formation energy = 578 meV/atom
space-group type = P4/mmm, No. 123
E above lowest polymorph = 0 meV per atom

---

Record 8
VASP calculation (PBE) on ZnGeAsBr2 after structural relaxation.

Cell: 5.319 5.319 5.292 Å, 90.00 90.00 90.00°
Fractional coordinates of all 5 atoms:
1 Zn 0.000 0.000 0.000
2 Ge 0.500 0.500 0.500
3 As 0.500 0.500 0.000
4 Br 0.000 0.500 0.500
5 Br 0.500 0.000 0.500

Calculated values
magnetic moment = 1.54 μB/f.u.
raw formation energy = 288 meV/atom
space-group type = P4/mmm, No. 123
E above lowest polymorph = 0 meV per atom

---

Record 9
VASP calculation (PBE) on ZrGeAs2Br after structural relaxation.

Cell: 5.260 5.260 5.193 Å, 90.00 90.00 90.00°
Fractional coordinates of all 5 atoms:
1 Zr 0.000 0.000 0.000
2 Ge 0.500 0.500 0.500
3 As 0.000 0.500 0.000
4 As 0.500 0.000 0.000
5 Br 0.000 0.000 0.500

Calculated values
magnetic moment = 0.00 μB/f.u.
raw formation energy = 152 meV/atom
space-group type = P4/mmm, No. 123
E above lowest polymorph = 0 meV per atom

---